Monitoring Urban Sprawl with Sentinel-1 SAR data: Pixel Value and Polarization Thresholding

Author: Tomasz Furtak, Data Scientist at CloudFerro

In recent decades, the rapid growth of urban populations has led to significant challenges in the world's largest cities. This phenomenon, often accompanied by urban sprawl, has reshaped landscapes and strained resources, presenting complex issues for urban planners and policymakers.  

Urban sprawl refers to the uncontrolled expansion of urban areas into surrounding rural lands, often resulting in inefficient land use, increased traffic congestion, and environmental degradation. This typically involves low-density development, with a spread-out pattern of housing, commercial centers, and infrastructure, leading to the fragmentation of natural habitats and agricultural land. See this article

One solution to this phenomenon is the implementation of general plans, which can enable better city and infrastructure organization by addressing both local and broader perspective projects. Various large cities conduct such comprehensive plans. A perfect example is the Spanish general plan for the development of the Madrid Metropolitan Area, known as Madrid Nuevo Norte. This project aims to transform the northern part of Madrid, enhancing urban connectivity and creating new residential, commercial, and green spaces. The plan also focuses on sustainable development, improving public transportation, and increasing job opportunities to boost the local economy. 

Urban sprawl can be objectively measured through a satellite data analysis. This method allows for detailed assessment of the surface area, the size, and the structure of urban areas. Various types of satellite data, including SAR data from Sentinel-1 or optical data from Sentinel-2, can be used for these measurements. The analysis focuses on the backscatter intensity values of SAR pixels and the radiometric values of optical pixels, both of which can be effectively utilized in the study. Both satellite missions provide images with a spatial resolution of 10 meters.

In Sentinel-1 data, pixel values correspond to the radar signal intensity recorded by the satellite. This intensity varies based on factors such as surface roughness, composition, and moisture content of the terrain. Analyzing these values allows detailed monitoring of land cover, urban development, and environmental changes over time. Sentinel-1 transmits microwave signals to Earth and receives their reflections. A critical aspect is polarization—electric field orientation relative to the Earth's surface. It uses two main types: Vertical (VV) oscillates vertically, Horizontal (HH) oscillates horizontally. VV penetrates vegetation well; HH offers detailed surface info, chosen based on terrain and needs, enabling data on terrain, urban growth, geology, and global conditions. 

In the next part of the article, an example of the usage of Sentinel-1 data is provided, along with a detailed explanation of the steps taken. You can find all the technical documentation here

To access the satellite data, a Python script was used. The data was downloaded from the CREODIAS platform using the API and the boto3 library by defining query parameters.  CREODIAS is a cloud platform that provides access to Copernicus Earth Observation data, enabling users to process and analyze large datasets. It leverages the power of cloud computing to offer scalable and efficient data retrieval and storage solutions. 

Next, the data processing was conducted using a Python script. The steps taken in the processing were: 

Step 1: Decibel Conversion
Converting pixel values from intensity to decibels (dB) is crucial because it enhances the interpretability of radar data. Radar backscatter values are often highly dynamic and logarithmic decibel scale helps in normalizing these values, making it easier to compare across different scenes and reducing the range of values to a more manageable scale. 

Step 2. Histogram Creation
Creating histograms of decibel values allows us to visualize the distribution of backscatter intensities for both VV and VH polarizations. This helps in understanding the range and spread of values within the image, aiding in the selection of appropriate threshold values for urban classification. 

The histogram showing the pixel value distribution of VV (left) and VH (right) in decibels (data from 16.05.2024 collection: Sentinel-1 GRDH).


Step 3. Threshold Selection
Choosing suitable thresholds based on the histograms is necessary to distinguish urban areas from other land cover types. Thresholding converts the continuous range of decibel values into a binary classification (urban or non-urban). Optimal thresholds are selected to maximize the separation between urban and non-urban classes while minimizing misclassification errors.

Someone pasted materials data at this point =
........
This record from Materials Project describes Er3InN after structural relaxation. The functional is r2SCAN.

a = 4.730 Å, b = 4.730 Å, c = 4.730 Å
α = 90.00°, β = 90.00°, γ = 90.00°
Positions (direct):
Er 0.000 0.000 0.500
Er 0.000 0.500 0.000
Er 0.500 0.000 0.000
In 0.500 0.500 0.500
N 0.000 0.000 0.000

Properties
* energy: -27.9061 eV per atom
* energy of formation: -1.21 eV per atom
* magnetization: 0.000 μB per atom

This record from Materials Project describes ErInNi4 after structural relaxation. The functional is r2SCAN.

a = 4.913 Å, b = 4.913 Å, c = 4.913 Å
α = 60.00°, β = 60.00°, γ = 60.00°
Positions (direct):
Er 0.000 0.000 0.000
In 0.750 0.750 0.750
Ni 0.376 0.376 0.376
Ni 0.376 0.376 0.872
Ni 0.376 0.872 0.376
Ni 0.872 0.376 0.376

Properties
* energy: -17.8012 eV per atom
* energy of formation: -0.40 eV per atom
* magnetization: 0.000 μB per atom

This record from Materials Project describes ErInPd after structural relaxation. The functional is r2SCAN.

a = 7.663 Å, b = 7.663 Å, c = 3.757 Å
α = 90.00°, β = 90.00°, γ = 120.00°
Positions (direct):
Er 0.000 0.407 0.000
Er 0.407 0.000 0.000
Er 0.593 0.593 0.000
In 0.000 0.738 0.500
In 0.262 0.262 0.500
In 0.738 0.000 0.500
Pd 0.000 0.000 0.000
Pd 0.333 0.667 0.500
Pd 0.667 0.333 0.500

Properties
* energy: -27.3905 eV per atom
* energy of formation: -0.90 eV per atom
* magnetization: 0.000 μB per atom

Among the records above, which one has the lowest energy?
Er3InN

Among the records above, which one has the highest energy?
ErInNi4

=====

Record 1
An optimized crystal structure of Ca5Mn4O9. Source: Materials Project, functional PBE with a Hubbard U.

## Properties
For the energy of formation from the pure elements, the calculation gives -2690 meV/atom.

Cell lengths 8.722, 8.722, 9.903 Å; angles 124.10, 124.10, 22.01 degrees
Fractional positions:
1 Ca 0.000 0.000 0.000
2 Ca 0.003 0.003 0.656
3 Ca 0.328 0.328 0.656
4 Ca 0.336 0.336 0.323
5 Ca 0.669 0.669 0.991
6 Mn 0.004 0.004 0.326
7 Mn 0.333 0.333 0.991
8 Mn 0.666 0.666 0.656
9 Mn 0.667 0.667 0.326
10 O 0.162 0.162 0.486
11 O 0.168 0.168 0.165
12 O 0.171 0.171 0.821
13 O 0.501 0.501 0.826
14 O 0.502 0.502 0.170
15 O 0.505 0.505 0.490
16 O 0.829 0.829 0.829
17 O 0.830 0.830 0.488
18 O 0.838 0.838 0.153

Record 2
An optimized crystal structure of CaMn2O4. Source: Materials Project, functional PBE with a Hubbard U.

## Properties
For the energy above the lowest structure with this stoichiometry, the calculation gives 1.20 eV per formula unit. For the energy of formation from the pure elements, the calculation gives -2276 meV/atom.

Cell lengths 6.336, 6.336, 6.336 Å; angles 121.52, 119.86, 88.81 degrees
Fractional positions:
1 Ca 0.000 0.000 0.000
2 Ca 0.500 0.000 0.500
3 Mn 0.000 0.000 0.500
4 Mn 0.000 0.500 0.000
5 Mn 0.357 0.607 0.750
6 Mn 0.643 0.393 0.250
7 O 0.207 0.744 0.463
8 O 0.214 0.215 0.502
9 O 0.214 0.712 0.998
10 O 0.220 0.256 0.963
11 O 0.780 0.744 0.037
12 O 0.786 0.288 0.002
13 O 0.786 0.785 0.498
........

Step 4. Pixel Value Reassignment
After selecting thresholds, reassigning pixel values based on these thresholds effectively classifies each pixel as urban (where the backscatter values exceed the threshold) or non-urban. This step transforms the radar intensity image into a binary urban mask, which is essential for subsequent quantitative analysis.

A comparison of SAR image processing stages for VV and VH from top to bottom: input image, image converted to decibels, image with applied thresholding (data from 16.05.2024 collection: Sentinel-1 GRDH).

Step 5: Data Fusion
Combining the thresholded images from both VV and VH polarizations into a single binary mask ensures more robust classification results. This fusion process leverages the complementary information provided by different polarization channels, enhancing the accuracy of urban area detection.

Combined threshold images generated by fusion of VV and VH tresholded images (data from 16.05.2024 collection: Sentinel-1 GRDH).

Step 6: Quantitative Analysis
Performing quantitative analysis involves calculating the total number of urban pixels and subsequently estimating the urban area in hectares. This step provides meaningful metrics such as the percentage of the image covered by urban areas, enabling assessment and comparison of urban sprawl over time and across different regions.

Expanding the analysis of urban sprawl using Sentinel-1 data can be achieved through advanced processing techniques, such as multi-spectral or multi-temporal analysis. These approaches enable a deeper exploration of urban dynamics over time, offering insights into urban growth patterns and land cover changes. Additionally, integrating Sentinel-1 data with high-resolution optical imagery or ground truth data can enhance the accuracy and reliability of urban area classification.

Machine learning techniques, such as classification algorithms (e.g., decision trees, SVM), can also be employed for automated urban area classification based on Sentinel-1 data. Incorporating Sentinel-2 data, which provides optical spectrum information, and fusing it with Sentinel-1 data through data fusion techniques can add supplementary information and improve classification accuracy.

Furthermore, employing advanced spatial and simulation modeling allows for forecasting future urban expansion and assessing its potential environmental and societal impacts. These strategies collectively contribute to a more comprehensive understanding of urbanization processes and aid in effective urban planning and management strategies.